Request
What is needed: write out the whole of the rows further below word for word.

File
Entry 1:
{
  "formula": "Nd2Sm2C2I5",
  "functional": "PBE-GGA",
  "state": "optimized geometry",
  "cell": [[-0.4340, -1.8543, 10.0768], [-3.6496, -3.8804, 8.7631], [5.2259, -6.3856, -2.9427]],
  "species": ["Nd", "Nd", "Sm", "C", "I", "Sm", "I", "C", "I", "I", "I"],
  "frac_coords": [[0.6521, 0.6521, 0.5806], [0.3479, 0.3479, 0.4194], [0.0002, 0.0002, 0.6876], [0.5357, 0.5357, 0.5177], [0.8399, 0.8399, 0.1411], [0.9998, 0.9998, 0.3124], [0.8337, 0.8337, 0.6917], [0.4643, 0.4643, 0.4824], [0.5000, 0.5000, 0.0000], [0.1663, 0.1663, 0.3083], [0.1601, 0.1601, 0.8589]],
  "mass_density_g_cm3": 6.007,
  "e_tot_ev_per_atom": -5.169,
  "polymorph_energy_mev_per_atom": 24,
  "sg": "C2/m, No. 12"
}

=====

Entry 2:
{
  "formula": "Nd2DyBi3",
  "functional": "PBE-GGA",
  "state": "optimized geometry",
  "cell": [[-2.0478, 3.8484, -1.2621], [-0.6300, -1.6388, 4.1850], [8.7791, 5.8572, 3.6154]],
  "species": ["Dy", "Nd", "Nd", "Bi", "Bi", "Bi"],
  "frac_coords": [[0.0000, 0.0000, 0.5000], [0.6667, 0.3333, 0.1710], [0.3333, 0.6667, 0.8290], [0.6667, 0.3333, 0.6593], [0.0000, 0.0000, 0.0000], [0.3333, 0.6667, 0.3407]],
  "mass_density_g_cm3": 8.995,
  "e_tot_ev_per_atom": -5.312,
  "sg": "P-3m1, No. 164"
}

=====

Entry 3:
{
  "formula": "NaNi2S3",
  "functional": "PBE-GGA",
  "state": "optimized geometry",
  "cell": [[-4.2897, 4.8687, -0.6794], [1.9712, -6.0248, -1.5441], [-5.1290, -3.5176, 7.1770]],
  "species": ["S", "Ni", "Na", "Ni", "S", "Ni", "S", "S", "S", "S", "Na", "Ni"],
  "frac_coords": [[0.1210, 0.8790, 0.0372], [0.0530, 0.9470, 0.2500], [0.7579, 0.2421, 0.2500], [0.9470, 0.0530, 0.7500], [0.4462, 0.5538, 0.2500], [0.5000, 0.5000, 0.5000], [0.8790, 0.1210, 0.5372], [0.8790, 0.1210, 0.9628], [0.5538, 0.4462, 0.7500], [0.1210, 0.8790, 0.4628], [0.2421, 0.7579, 0.7500], [0.5000, 0.5000, 0.0000]],
  "mass_density_g_cm3": 3.848,
  "e_tot_ev_per_atom": -4.559,
  "polymorph_energy_mev_per_atom": 25,
  "sg": "Cmcm, No. 63"
}

=====

Entry 4:
{
  "formula": "HoEr2Al3Si2Ir",
  "functional": "PBE-GGA",
  "state": "optimized geometry",
  "cell": [[4.2034, 0.0000, 0.0000], [0.0000, 5.9489, 3.4320], [0.0000, -5.9489, 3.4320]],
  "species": ["Al", "Al", "Si", "Si", "Al", "Ho", "Er", "Er", "Ir"],
  "frac_coords": [[0.5000, 0.0002, 0.7659], [0.5000, 0.2340, 0.2340], [0.5000, 0.3328, 0.6670], [0.5000, 0.6670, 0.3328], [0.5000, 0.7659, 0.0002], [0.0000, 0.5835, 0.5835], [0.0000, 0.9998, 0.4159], [0.0000, 0.4159, 0.9998], [0.0000, 0.0009, 0.0009]],
  "mass_density_g_cm3": 8.018,
  "e_tot_ev_per_atom": -5.830,
  "sg": "Amm2, No. 38"
}

=====

Entry 5:
{
  "formula": "NaAlMoOs",
  "functional": "PBE-GGA",
  "state": "optimized geometry",
  "cell": [[0.5966, -4.3745, 0.4651], [1.7153, -1.6189, 3.7611], [-2.5636, -2.3049, 2.7972]],
  "species": ["Mo", "Al", "Na", "Os"],
  "frac_coords": [[0.2500, 0.2500, 0.2500], [0.0000, 0.0000, 0.0000], [0.7500, 0.7500, 0.7500], [0.5000, 0.5000, 0.5000]],
  "mass_density_g_cm3": 9.022,
  "e_tot_ev_per_atom": -6.399,
  "polymorph_energy_mev_per_atom": 181,
  "sg": "F-43m, No. 216"
}

=====

Entry 6:
{
  "formula": "NaGe5Mo3",
  "functional": "PBE-GGA",
  "state": "optimized geometry",
  "cell": [[-0.6187, -1.5695, -5.1878], [4.8928, 1.6084, 1.7981], [1.4351, -6.3080, 1.7373]],
  "species": ["Ge", "Ge", "Ge", "Na", "Mo", "Ge", "Mo", "Ge", "Mo"],
  "frac_coords": [[0.3333, 0.6667, 0.1872], [0.3333, 0.6667, 0.8128], [0.0000, 0.0000, 0.5000], [0.0000, 0.0000, 0.0000], [0.5000, 0.0000, 0.5000], [0.6667, 0.3333, 0.8128], [0.5000, 0.5000, 0.5000], [0.6667, 0.3333, 0.1872], [0.0000, 0.5000, 0.5000]],
  "mass_density_g_cm3": 6.483,
  "e_tot_ev_per_atom": -6.265,
  "sg": "P6/mmm, No. 191"
}

Solution
Entry 1:
{
  "formula": "Nd2Sm2C2I5",
  "functional": "PBE-GGA",
  "state": "optimized geometry",
  "cell": [[-0.4340, -1.8543, 10.0768], [-3.6496, -3.8804, 8.7631], [5.2259, -6.3856, -2.9427]],
  "species": ["Nd", "Nd", "Sm", "C", "I", "Sm", "I", "C", "I", "I", "I"],
  "frac_coords": [[0.6521, 0.6521, 0.5806], [0.3479, 0.3479, 0.4194], [0.0002, 0.0002, 0.6876], [0.5357, 0.5357, 0.5177], [0.8399, 0.8399, 0.1411], [0.9998, 0.9998, 0.3124], [0.8337, 0.8337, 0.6917], [0.4643, 0.4643, 0.4824], [0.5000, 0.5000, 0.0000], [0.1663, 0.1663, 0.3083], [0.1601, 0.1601, 0.8589]],
  "mass_density_g_cm3": 6.007,
  "e_tot_ev_per_atom": -5.169,
  "polymorph_energy_mev_per_atom": 24,
  "sg": "C2/m, No. 12"
}

=====

Entry 2:
{
  "formula": "Nd2DyBi3",
  "functional": "PBE-GGA",
  "state": "optimized geometry",
  "cell": [[-2.0478, 3.8484, -1.2621], [-0.6300, -1.6388, 4.1850], [8.7791, 5.8572, 3.6154]],
  "species": ["Dy", "Nd", "Nd", "Bi", "Bi", "Bi"],
  "frac_coords": [[0.0000, 0.0000, 0.5000], [0.6667, 0.3333, 0.1710], [0.3333, 0.6667, 0.8290], [0.6667, 0.3333, 0.6593], [0.0000, 0.0000, 0.0000], [0.3333, 0.6667, 0.3407]],
  "mass_density_g_cm3": 8.995,
  "e_tot_ev_per_atom": -5.312,
  "sg": "P-3m1, No. 164"
}

=====

Entry 3:
{
  "formula": "NaNi2S3",
  "functional": "PBE-GGA",
  "state": "optimized geometry",
  "cell": [[-4.2897, 4.8687, -0.6794], [1.9712, -6.0248, -1.5441], [-5.1290, -3.5176, 7.1770]],
  "species": ["S", "Ni", "Na", "Ni", "S", "Ni", "S", "S", "S", "S", "Na", "Ni"],
  "frac_coords": [[0.1210, 0.8790, 0.0372], [0.0530, 0.9470, 0.2500], [0.7579, 0.2421, 0.2500], [0.9470, 0.0530, 0.7500], [0.4462, 0.5538, 0.2500], [0.5000, 0.5000, 0.5000], [0.8790, 0.1210, 0.5372], [0.8790, 0.1210, 0.9628], [0.5538, 0.4462, 0.7500], [0.1210, 0.8790, 0.4628], [0.2421, 0.7579, 0.7500], [0.5000, 0.5000, 0.0000]],
  "mass_density_g_cm3": 3.848,
  "e_tot_ev_per_atom": -4.559,
  "polymorph_energy_mev_per_atom": 25,
  "sg": "Cmcm, No. 63"
}

=====

Entry 4:
{
  "formula": "HoEr2Al3Si2Ir",
  "functional": "PBE-GGA",
  "state": "optimized geometry",
  "cell": [[4.2034, 0.0000, 0.0000], [0.0000, 5.9489, 3.4320], [0.0000, -5.9489, 3.4320]],
  "species": ["Al", "Al", "Si", "Si", "Al", "Ho", "Er", "Er", "Ir"],
  "frac_coords": [[0.5000, 0.0002, 0.7659], [0.5000, 0.2340, 0.2340], [0.5000, 0.3328, 0.6670], [0.5000, 0.6670, 0.3328], [0.5000, 0.7659, 0.0002], [0.0000, 0.5835, 0.5835], [0.0000, 0.9998, 0.4159], [0.0000, 0.4159, 0.9998], [0.0000, 0.0009, 0.0009]],
  "mass_density_g_cm3": 8.018,
  "e_tot_ev_per_atom": -5.830,
  "sg": "Amm2, No. 38"
}

=====

Entry 5:
{
  "formula": "NaAlMoOs",
  "functional": "PBE-GGA",
  "state": "optimized geometry",
  "cell": [[0.5966, -4.3745, 0.4651], [1.7153, -1.6189, 3.7611], [-2.5636, -2.3049, 2.7972]],
  "species": ["Mo", "Al", "Na", "Os"],
  "frac_coords": [[0.2500, 0.2500, 0.2500], [0.0000, 0.0000, 0.0000], [0.7500, 0.7500, 0.7500], [0.5000, 0.5000, 0.5000]],
  "mass_density_g_cm3": 9.022,
  "e_tot_ev_per_atom": -6.399,
  "polymorph_energy_mev_per_atom": 181,
  "sg": "F-43m, No. 216"
}

=====

Entry 6:
{
  "formula": "NaGe5Mo3",
  "functional": "PBE-GGA",
  "state": "optimized geometry",
  "cell": [[-0.6187, -1.5695, -5.1878], [4.8928, 1.6084, 1.7981], [1.4351, -6.3080, 1.7373]],
  "species": ["Ge", "Ge", "Ge", "Na", "Mo", "Ge", "Mo", "Ge", "Mo"],
  "frac_coords": [[0.3333, 0.6667, 0.1872], [0.3333, 0.6667, 0.8128], [0.0000, 0.0000, 0.5000], [0.0000, 0.0000, 0.0000], [0.5000, 0.0000, 0.5000], [0.6667, 0.3333, 0.8128], [0.5000, 0.5000, 0.5000], [0.6667, 0.3333, 0.1872], [0.0000, 0.5000, 0.5000]],
  "mass_density_g_cm3": 6.483,
  "e_tot_ev_per_atom": -6.265,
  "sg": "P6/mmm, No. 191"
}